Type Book
Date 2000-04-01
Pages 322
Tags urban fantasy, fiction

Storm Front

-- What comes next are calculated crystals, not part of the entry --
........
r²SCAN TmMn6Sn6, optimized geometry; uncorrected energy = -21.1453 eV per atom; spin magnetization = 21.0 μB per formula unit; formation energy = -0.245 eV/atom
1.0
5.6704 0.0000 0.0000
-2.8352 4.9107 0.0000
0.0000 0.0000 9.1439
Tm Mn Sn
1 6 6
direct
0.0000 0.0000 0.0000
0.0000 0.5000 0.2468
0.0000 0.5000 0.7532
0.5000 0.0000 0.2468
0.5000 0.0000 0.7532
0.5000 0.5000 0.2468
0.5000 0.5000 0.7532
0.0000 0.0000 0.3335
0.0000 0.0000 0.6665
0.3333 0.6667 0.0000
0.3333 0.6667 0.5000
0.6667 0.3333 0.0000
0.6667 0.3333 0.5000

r²SCAN YMn6Sn6, optimized geometry; uncorrected energy = -20.0212 eV per atom; spin magnetization = 21.1 μB per formula unit; formation energy = -0.260 eV/atom
1.0
5.6876 0.0000 0.0000
-2.8438 4.9256 0.0000
0.0000 0.0000 9.1731
Y Mn Sn
1 6 6
direct
0.0000 0.0000 0.0000
0.0000 0.5000 0.2469
0.0000 0.5000 0.7531
0.5000 0.0000 0.2469
0.5000 0.0000 0.7531
0.5000 0.5000 0.2469
0.5000 0.5000 0.7531
0.0000 0.0000 0.3357
0.0000 0.0000 0.6643
0.3333 0.6667 0.0000
0.3333 0.6667 0.5000
0.6667 0.3333 0.0000
0.6667 0.3333 0.5000

r²SCAN Ta2MnV3, optimized geometry; uncorrected energy = -25.8884 eV per atom; spin magnetization = 0.0 μB per formula unit; formation energy = -0.199 eV/atom
1.0
2.5112 1.4498 3.9705
-2.5112 1.4498 3.9705
0.0000 -2.8997 3.9705
Ta Mn V
2 1 3
direct
0.1255 0.1255 0.1255
0.8745 0.8745 0.8745
0.5000 0.5000 0.5000
0.0000 0.5000 0.5000
0.5000 0.0000 0.5000
0.5000 0.5000 0.0000

r²SCAN MnTe2, optimized geometry; uncorrected energy = -22.2619 eV per atom; spin magnetization = 5.0 μB per formula unit; formation energy = -0.423 eV/atom
1.0
6.9994 0.0000 0.0000
0.0000 6.9994 0.0000
0.0000 0.0000 6.9994
Mn Te
4 8
direct
0.0000 0.0000 0.0000
0.0000 0.5000 0.5000
0.5000 0.0000 0.5000
0.5000 0.5000 0.0000
0.1145 0.6145 0.8855
0.1145 0.8855 0.3855
0.3855 0.1145 0.8855
0.3855 0.3855 0.3855
0.6145 0.6145 0.6145
0.6145 0.8855 0.1145
0.8855 0.1145 0.6145
0.8855 0.3855 0.1145

r²SCAN MnZnTe2, optimized geometry; uncorrected energy = -19.1960 eV per atom; spin magnetization = 5.0 μB per formula unit; formation energy = -0.589 eV/atom
1.0
4.4047 0.0000 0.0000
0.0000 4.4047 0.0000
0.0000 0.0000 6.2495
Mn Zn Te
1 1 2
direct
0.0000 0.0000 0.0000
0.5000 0.5000 0.5000
0.0000 0.5000 0.2598
0.5000 0.0000 0.7402

r²SCAN MnZnTe2, optimized geometry; uncorrected energy = -19.1920 eV per atom; spin magnetization = 5.0 μB per formula unit; formation energy = -0.585 eV/atom
1.0
2.2036 1.2723 7.2181
-2.2036 1.2723 7.2181
0.0000 -2.5445 7.2181
Mn Zn Te
1 1 2
direct
0.0000 0.0000 0.0000
0.5010 0.5010 0.5010
0.3784 0.3784 0.3784
0.8735 0.8735 0.8735

r²SCAN Zr6MnTe2, optimized geometry; uncorrected energy = -23.0152 eV per atom; spin magnetization = 2.6 μB per formula unit; formation energy = -0.569 eV/atom
1.0
7.7500 0.0000 0.0000
-3.8750 6.7117 0.0000
0.0000 0.0000 3.7434
Zr Mn Te
6 1 2
direct
0.0000 0.2413 0.0000
0.0000 0.5920 0.5000
0.2413 0.0000 0.0000
0.4080 0.4080 0.5000
0.5920 0.0000 0.5000
0.7587 0.7587 0.0000
0.0000 0.0000 0.5000
........

The Dresden Files

Monica Sells approaches Harry with a missing persons case. The subject: her husband, Victor, who has begun dabbling in magic. Meanwhile, Murphy calls Harry in for a consultation on a gruesome murder. A couple have had their hearts messily exploded.

Before all is said and done, Harry finds himself a suspect in the police investigation, and under suspicion from the White Council, as well. Somehow, Harry must find the real murderer and stop him, or, one way or another, he's not going to survive the weekend.

Storm Front is a middling quality book. The writing is just okay, the world-building is a bit thin, the plot is too simple, and the protagonist is often annoying. However, I'm told the series gets better as it goes along, with the world-building filling things out and the characters getting much more development. The book was good enough that I'm willing to continue the series in anticipation of that improvement.

The book is set in the near future (as of the book's writing), in a world where magic is real and, we are told, the public has a growing awareness of it. That awareness, in this book, at least, seems to be restricted to a few scattered people--we are also told that Harry is "the only openly practicing professional wizard in the country".

As for the writing, let this extract stand as a witness of its quality:

β€œOh. Is this, um, Harry Dresden? The, ah, wizard?” Her tone was apologetic, as though she were terribly afraid she would be insulting me.

No, I thought. It’s Harry Dresden the, ah, lizard. Harry the wizard is one door down.

Butcher makes some half-hearted gestures at world-building, but it doesn't amount to much:

  • Vampires, demons, faries, and presumably various other fantastical creatures exist (and may be walking among us)
  • True Names are a thing
  • Sympathetic magic is a thing
  • Magic circles are a thing
  • Magic somehow interferes with technology
  • There's a group of wizards called the White Council who enforce some laws like "don't kill people with magic"

That's about it. Hard fantasy, this ain't.

It's pretty obvious where the plot is going from pretty early on, and on a smaller scale Butcher leaves Chekov's guns lying around--e.g. a love potion, Murphy's handcuffs--and then uses them, as you'd expect. No surprises here.

As for Harry, himself, well, he's explicitly described as a magic nerd. He's a wish-fulfillment reader proxy (or author proxy, perhaps), and it really shows. When he is surrounded by bruisers from the local organized crime syndicate, he muses, "I felt like I was in high school again, surrounded by bullying members of the football team." He periodically does some stupidly macho thing to retaliate against such 'bullies', and he's mysteriously attractive to women (all of whom are unusually attractive, themselves) despite a lack of hygiene, funds, or hobbies other than getting beaten up.

And, speaking of women... Harry occasionally speaks of women. Like this gem:

β€œWomen are better at hating than men. They can focus it better, let it go better. Hell, witches are just plain meaner than wizards. This feels like feminine vengeance of some kind to me.”

Harry's not a woman-hater--his general opinion seems to be that women are just as good as men, but that they need to be protected and treated specially (by him, at least), because he's "an old-fashioned sort of guy", apparently. A standard-bearer for equal treatment, Harry's not.

To be fair to Butcher, though, this isn't really presented as being right, except insofar as the book is narrated by Harry and so he's advancing his own opinion. Harry's 'feminine vengeance' theory turned out to be wrong, and his attempts to protect the women around him by keeping them in the dark don't really work out very well.

So, that's a lot of bad stuff. What was good enough to make me willing to carry on with the series?

First, I like urban fantasy, and a wizard PI has a lot of potential. The premise is strong.

Second, though the world-building isn't very extensive, it does hint at there being more going on than we're seeing right now. It's not just Harry the Wizard and a bunch of mundanes desperate for his help. There's a vampire running an escort service, a crime boss who is aware of magic, and apparently a lot of dabblers. Assuming later books develop things further, this world could get very interesting.

Third, it seems to me that one or two books is about as far as you could ride stupid-nerd-wish-fulfillment before you just run out of dumb comments to make. Since the series is substantially longer than that, I take this as evidence that it must have improved.

Well, it boils down to: I like the premise, I like long-runners, so I'm going to be optimistic.

Character Type
Harry Dresden Main
Name Role
Jim Butcher Author


Relation Sources
Contained in
  • The Dresden Files Collection 1-6